Thursday, September 30, 2010


Take a deep breath. With each breath you take, there is an opportunity to improve your well-being. It provides you with the privilege of thinking differently than you have thought in the past; to see life as you never seen it before. To project toward others the great power you are as a human full vitality and vigor.

=====
No. 1
{
  "formula": "CaMnTe2",
  "functional": "GGA-PBE",
  "state": "relaxed",
  "lattice": [[4.322, 0.002, 0.002], [2.159, 3.744, 0.002], [2.158, 1.247, 7.087]],
  "species": ["Te", "Te", "Ca", "Mn"],
  "frac_coords": [[0.991, 0.991, 0.027], [0.509, 0.509, 0.473], [0.750, 0.750, 0.750], [0.250, 0.250, 0.250]],
  "e_tot_ha_per_atom": -0.190
}


No. 2
{
  "formula": "CeNpSn6",
  "functional": "GGA-PBE",
  "state": "relaxed",
  "lattice": [[-2.962, -3.584, -0.671], [-0.057, -0.818, 4.625], [-7.225, 5.796, 0.936]],
  "species": ["Sn", "Sn", "Sn", "Sn", "Sn", "Sn", "Np", "Ce"],
  "frac_coords": [[0.500, 0.000, 0.253], [0.500, 0.500, 0.500], [0.000, 0.500, 0.747], [0.500, 0.500, 0.000], [0.000, 0.500, 0.253], [0.500, 0.000, 0.747], [0.000, 0.000, 0.500], [0.000, 0.000, 0.000]],
  "formation_energy_kj_per_mol_fu": -271,
  "e_tot_ha_per_atom": -0.210
}


No. 3
{
  "formula": "Ce2ZrPN5",
  "functional": "GGA-PBE",
  "state": "relaxed",
  "lattice": [[-3.425, -3.229, 2.900], [0.884, -4.762, -4.259], [4.985, -2.175, 3.467]],
  "species": ["P", "P", "N", "N", "N", "N", "N", "N", "N", "N", "N", "N", "Ce", "Ce", "Ce", "Ce", "Zr", "Zr"],
  "frac_coords": [[0.000, 0.500, 0.000], [0.000, 0.000, 0.500], [0.783, 0.638, 0.862], [0.783, 0.138, 0.638], [0.783, 0.862, 0.362], [0.783, 0.362, 0.138], [0.500, 0.500, 0.500], [0.217, 0.362, 0.138], [0.500, 0.000, 0.000], [0.217, 0.138, 0.638], [0.217, 0.862, 0.362], [0.217, 0.638, 0.862], [0.500, 0.676, 0.176], [0.500, 0.324, 0.824], [0.500, 0.824, 0.676], [0.500, 0.176, 0.324], [0.000, 0.000, 0.000], [0.000, 0.500, 0.500]],
  "e_tot_ha_per_atom": -0.301
}


No. 4
{
  "formula": "La2TiAg",
  "functional": "GGA-PBE",
  "state": "relaxed",
  "lattice": [[-1.346, 2.598, -1.330], [-1.778, -0.295, -2.660], [-10.337, -0.780, 5.055]],
  "species": ["Ag", "La", "La", "Ti"],
  "frac_coords": [[0.500, 0.500, 0.500], [0.915, 0.915, 0.254], [0.085, 0.085, 0.746], [0.000, 0.000, 0.000]],
  "formation_energy_kj_per_mol_fu": 148,
  "e_tot_ha_per_atom": -0.175
=====

Your power is contagious. Smile and people cannot help it; they are engaged to return the offering. Your smile could mean a myriad of things: I’m tired but I won’t let you know, it’s a good day, and I’m getting better." Your smile could mean anything. Share it, SMILE!

However, the person to whom it is cast, they interpret it into their prism of life and the energy of a simple simile takes on a completely newer meaning. Like lightning flashing through the sky, it electrifies whatever and whomever it contacts. A smile can be the jolt that lifts a sunken soul from the depths of depression and despair. Just a smile, it costs nothing; it’s free, but impacting.

If you do nothing else today, SMILE at someone and change a life.

©2010 Ben Walls

Tuesday, September 28, 2010

Remember Your Shingle

Outside my bedroom window is a little shed I used to play in as a kid. Today when I looked out, I could see something was still there - a shingle. I guess it was during my earlier teenage years when I would go out, work in my “shop”, and build things. One day, I decided to put up a storefront sign. Only today did I ever think of it as a shingle.

Professional firms use shingles to establish their presence in the community. You know: Lawyers, Doctors, and Consultants, etc. Shingles tell the public about their trade, skill, their preparation and their availability to serve.

Today, I want to remind you of YOU. Are you doing your IT? Whatever your IT is, are you doing it now. I love the commercial, “It’s my money, and I want it now.” Have you forgotten what shingle you once hung out, your childhood dreams and aspirations? The things you daydreamed about and never did. Why? Why haven’t you moved on them? How have you talked yourself away from those ideas and perhaps innovations? Come on now, stop simply remembering, but rather get recharged and take steps to make those dreams realities.

I know. The challenge stands in your way like a daunting wall. It should be there. It serves a purpose. Challenges bring forth the best ideas, newer concepts and better ways to approach and solve problems. Challenges are there help us over the obstacles. Challenges make us Champions! However, you must choose to do something. Go ahead and make the choice to change your life. Once you realize in your heart the impact that change can make on how you think, feel and act; you will love the better person you have become. You can do it. Allow yourself to be inspired to climb your wall.

Every day I go to a local gym. Some days I am pumped and ready to go, other days, I drag. On the mornings I feel slow and unmotivated, I see Mrs. F. She is 86 years old, carries an oxygen bottle on a roll-about walker, and she faithfully comes and with a smile on her face, does her routines. When I see her, that gets me going. I often tell her, "YOU INSPIRE ME!"

If she can, I can! Her actions say to me, you are never too old. You are not too tired. Get up off that couch and live! Workout, lose the fat and make a change. Do what you must to get prepared to hang out your shingle. Develop your trade. Invest in your skill. Prepare for success. Show your availability.

You should hear about my friend Mitchell…next time.

©2010 Benny R. Walls

Thursday, September 23, 2010

How to Get Ahead

A couple of weeks ago I had the privilege of speaking for the eighth graders who go to the Oxford Boys and Girls Club. By the way, the people there are doing a great work. It was an opportunity to share with the group thoughts from my recently published “Time for the Exceptional”. At the conclusion of the talk, I asked for comments and one young musician blew me away when he shared what he had learned. He said, “I learned. You have to choose your friends carefully.” This got me excited, because that was not part of my original presentation; it was simply a speaker’s side-comment.

Choose wisely

We cannot choose our family; the Universe is in command of that. Nevertheless, as far as our friends are concerned, we can decide who we will befriend, and who we will “feed with a long-handle spoon” as old folks you used to say. Our friends are the ones we congregate with around the water fountain, play ball with, hang out on the phone with and oh yeah – Text with very often late into the night.

Being choosey about our friends does not mean being nasty, unkind or hurtful toward others. It does mean. However, being selective about how you will allow them to influence your life. The old saying “birds of a feather flock together” still holds true in many instances.

We all make choices daily. As the youth of today, you must be mindful; the decisions you make today can follow you the rest of your life. Hey - think about that! At 48 years of age, I can share with you how a decision I made in the eleventh grade directly set the course for the rest of my life. These principles do not change with time. It is important we learn to use wisdom in a way that it becomes a habit if life.

If we want to get ahead, we must choose friends who want to move along the same road of life. People who are getting ahead in life want to be with other people who are working in the same direction, for iron sharpens iron the good book says.

Be a dreamer

It is important to surround yourself with people who are willing to let you dream, imagine, and think outside the box. Better yet, they will imagine with you. Imagining is the creative stamp of the Creator upon us. It is the place where the conception of the next great invention is taking on the way. The cure for cancer is being developed in a lab somewhere; but the genesis of it will first be in imagination of some scientist who allowed herself or himself to dream and think outside the conventional - To go into the mind where we have never gone before. So wish upon your star.

Lay a foundation

Upon every great structure is a steady and firm foundation. This is true for our lives as well. Education and learning are so essential. Go to school and learn from the masters. Study, learn as much as possible. Go to workshops, museums; take community classes at the local university or college. Learn something new. Heck! Turn the titanic of your life around and head into a different direction if the one you are traveling is not serving you well.

A word about education. Primarily, I am speaking about “formal” education. However, one of the smartest men I ever knew was my father – Elton Walls. He was a tree-cutter, farmer, inventor and the world’s greatest handy man. He had very little “formal” education – his education was his experiences and LIFE. It must be understood he lived in a totally difference era. To depend on that today, is not smart; even he would admit that. I guess that is why he sent my sisters and me to college. Even with education, it is not a piece of cake.

The technology is changing daily; we are moving faster than ever-in terms of world competition. Innovation drives our culture. Look at how email, iPhone, and the internet has catapulted our world into other stratospheres. The key to being successful in your time is to be prepared. It is hard work; well, what else do you have to do, sit around, and wait for something to happen? Things ARE happening right around you and when you are blind you cannot see these things, nor can you SEE how to be a part of their invention or development into an industry. That is where an opportunity is. That is where you want to be – but you must first lay a foundation in order to build a steady structure to support your involvement.

Never, Never Give up

Sir Winston Churchill said it best. You cannot stop wishing, wanting and working. You just can’t! Successful people are not quitters. They find a way to climb the mountains of life; they moved around obstacles and seeking other options. Ironically, that is usually where we find our greatest discoveries.. That one simple nugget can open the door to your Comstock Lode.

Finally, be a friend

Remember the Boys and Girls Club? The story I told the group was about the day I quite the football team in the 9th grade. The club now sits on that same football field from years ago.

Coach Bridges told me to do seven laps around the field. I said I could not and would not do it. He said, “Okay, you can’t play on my team.” For a few hours, I had stamped across my mental forehead “QUITTER.” The next day, I went back and said, “Coach, I’m no quitter.” “Do the laps” he said.

As I ran, about the fifth lap I was having a hard time, practically crawling. My best friend Arnie came along side and ran with me. After practice finished, others came along and paced me the entire time saying, “Benny you can do it, c’mon man”. I did the seven laps, thanks to good friends who encouraged me and were on my side; these are the people you want running with in life. Even today, Arnie and I talk frequently. I had the privilege of marrying him to his bride years later.

To get ahead, never give up – stay the course.

©2010 Benny R. Walls

Saturday, September 18, 2010

"Oh my God - No Hope?"

I can’t sleep. I’m driven awake. My soul groans. My heart weighs heavy with the dripping blood of humanity's vile degradation. The depths of our sinfulness are so great. My spirit is touched. The deep hole that sin has punctured into the very heart of my God – no wonder he grieves. It’s sad. As a people, mankind has so fallen. The Creator’s beautiful creation is so ugly now.

For the first time, I saw the movie Precious. To me, it is the double edged sword of Hollywood’s expression of rights. Satan’s promise to humanity wasn’t a lie, “You will see as God sees." The aftermath of the fall tells us that while knowledge is powerful, it brings an awareness that was never meant. As perfectly created being, there are some things we were not created for, like Sin - our spiritual kryptonite. But, since we have opened that proverbial Pandora’s box, we are now privy to its poison. We tasted it, and determined that it is good.

Today, we freely pull back the covers and gaze upon the nakedness of our father and mother. Just like Ham of old, we jest, and we too are cursed with his stain upon our hearts. The stain? Depravity.

We tell ourselves that it is only what is reality, or what is "real" about today's times. True. But, sometimes "keeping it real" has a corkscrew like effect. The more it turns, the deeper it gets. The more we indulge, the further down we go, the worse-off we become. It is like a deteriorating progression. So our depraved expressions and exposure becomes our reality - the illusion of what is permitted, even by the standards of our Creator. This toxic exposure does nothing to “lift” us; it merely shows how deeply we can descend into the waters of Titanic issues which can arise. Can you imagine what a risen Titanic would look like today, raised from the deteriorating depths of the sea? In the words of comic Eddie Murphy, “That’s just Nasty.”

With such compromise, are we not driven toward the putrid? The filth and stench draws us like flies toward a decaying corpse. Show us more. Tell us more. On some level its, entertaining. We love to the see the gladiators decapitate helpless victims. And hear the screams of life jerked from a living soul.

The box is open now, and can’t be closed. What’s done is done. We can’t go back – only forward.

We can only be raised. We must become passive. We must surrender.

Give up. Become humble.

Or can we?

Is it possible?

What are you thinking?

P.S. When I wrote this piece, my writing partner and good friend said, “So, are you going to finish that piece or what? You left us with no hope.

Worry not…..Hope is coming!

©2010 Benny R. Walls

Time for the Exceptional

It’s not my fault nor it is your fault, it just is what it is. It’s the time of the exceptional, and you must appreciate this. The average is so far beneath the “bar” you can crawl on your belly to attain it. With the advent of globalization, the world stage has changed. Making it through high school and not having a child, for some has become the new “high” expectation. These often find themselves living on the lowest level of the human food chain. Don’t get merely mad, it is what is it is. But, It don’t have to be. “That’s Right I Said It.”

To our youth, we must again reclaim the spirit of our forefathers. Reach for the stars – what are they there for? It’s tough yes, and it isn’t going to get any easier. The world is more competitive. The world wants higher wages and we won’t work for nothing.

So we must prepare. Some folks can afford to goof-off in college we can’t. We must set goals and reach them. Remember, while you are partying someone else is studying. Who do you think is going to get “The Job” when opportunity hits. Trust me it will hit, it always does. Perhaps you are looking at the kids at the “other” school and they party. They most often have a safety net. It’s call money. You got money? Did your great great-grandfather leave his linage a life insurance policy that is now worth millions? No! You better study and get prepared.

Benjamin Mays’ quote still rings, “Every man and woman is born into the world to do something unique and something distinctive and if he or she does not do it, it will never be done.” The question begs, what unique and distinctive thing were you created for?

Hey. Be remembered for more than someone who took a life. But for someone who saved lives. Be remembered for someone who raised the level of your community. Be a hero for righteousness, good and all that is pleasant. This is still possible.

Look around, see for yourselves. If we continue on the current path we are headed for extinction. Our greatest enemy isn’t “across” the water in some dusty sandy desert. He and she are across the street. Down the block. Your neighbor and mine!

This is reason for alarm. Only we can take claim of what we want for our communities and wish, want and work it into reality. We have to remember what was and reclaim it for our future.

The government can’t build enough jails. We must decide we don’t want to go and live according to the standards of a civilized society. Today is the day of our salvation.

It is well said, it takes a community to raise a child. Sadly, now the question has become, “What if the community is broken; what do the righteous do?” The healing must come from within.

Between two parts of the text: data records.
┌──
Entry 1:
Below is a relaxed Sc6Si3C crystal, with properties calculated at the PBE level.

```
Sc6Si3C
1.0
5.750 0.000 0.088
0.000 7.244 0.000
0.180 0.000 9.168
Sc Si C
12 6 2
Direct
0.670 0.160 0.944
0.632 0.208 0.560
0.630 0.451 0.267
0.370 0.549 0.733
0.368 0.792 0.440
0.330 0.840 0.056
0.170 0.340 0.444
0.132 0.292 0.060
0.130 0.049 0.767
0.870 0.951 0.233
0.868 0.708 0.940
0.830 0.660 0.556
0.575 0.894 0.743
0.500 0.500 0.000
0.425 0.106 0.257
0.075 0.606 0.243
0.000 0.000 0.500
0.925 0.394 0.757
0.500 0.500 0.500
0.000 0.000 0.000
```

Properties
Energy relative to the elements, uncorrected in eV per atom: -0.58
ρ in g/cm³: 3.184
Total energy in eV/atom: -6.932
V in Å³ per cell: 381.8

Entry 2:
Below is a relaxed Sc2SiC crystal, with properties calculated at the PBE level.

```
Sc2SiC
1.0
6.590 0.000 0.000
0.000 6.590 0.000
3.295 3.295 3.111
Sc Si C
4 2 2
Direct
0.562 0.125 0.250
0.188 0.625 0.250
0.375 0.438 0.750
0.875 0.812 0.750
0.000 0.000 0.000
0.750 0.250 0.500
0.500 0.500 0.000
0.250 0.750 0.500
```

Properties
Energy relative to the elements, uncorrected in eV per atom: -0.12
ρ in g/cm³: 3.196
Total energy in eV/atom: -6.949
V in Å³ per cell: 135.1

Entry 3:
Below is a relaxed Sc3SiC crystal, with properties calculated at the PBE level.

```
Sc3SiC
1.0
-15.902 6.876 -16.409
-4.001 -3.121 2.570
5.147 -0.466 7.448
Sc Si C
12 4 4
Direct
0.286 0.929 0.926
0.714 0.071 0.074
0.214 0.429 0.574
0.786 0.571 0.426
0.361 0.408 0.273
0.639 0.592 0.727
0.139 0.908 0.227
0.861 0.092 0.773
0.392 0.876 0.546
0.608 0.124 0.454
0.108 0.376 0.954
0.892 0.624 0.046
0.024 0.154 0.460
0.976 0.846 0.540
0.476 0.654 0.040
0.524 0.346 0.960
0.523 0.752 0.655
0.477 0.248 0.345
0.977 0.252 0.845
0.023 0.748 0.155
```

Properties
Energy relative to the elements, uncorrected in eV per atom: -0.55
ρ in g/cm³: 3.300
Total energy in eV/atom: -7.280
V in Å³ per cell: 352.2

Entry 4:
Below is a relaxed Sc3SiC crystal, with properties calculated at the PBE level.

```
Sc3SiC
1.0
-0.727 1.934 -2.750
-2.025 -3.977 -4.412
-8.327 2.648 1.912
Sc C Si
6 2 2
Direct
0.931 0.087 0.713
0.715 0.701 0.531
0.551 0.163 0.397
0.546 0.687 0.885
0.352 0.727 0.233
0.149 0.325 0.040
0.133 0.937 0.460
0.959 0.682 0.062
0.809 0.990 0.055
0.270 0.430 0.692
```

Properties
Energy relative to the elements, uncorrected in eV per atom: -0.52
ρ in g/cm³: 3.203
Total energy in eV/atom: -7.243
V in Å³ per cell: 181.4

----------

LiVO2F2 | GGA+U | optimized geometry

Cell and atoms, written as POSCAR:
```
LiVO2F2
1.0
3.905 0.000 0.000
0.000 6.242 -0.159
0.000 1.354 6.397
V Li F O
2 2 4 4
Cartesian
1.182 2.271 4.478
3.135 5.325 1.760
0.201 2.268 0.954
2.153 5.328 5.284
3.115 5.181 3.626
1.163 2.415 2.612
3.126 2.309 4.196
1.174 5.287 2.042
1.191 7.062 5.080
3.129 4.052 0.662
3.143 0.534 1.158
1.177 3.544 5.576
```

Values from the calculation:
└──

The seeds of greatness perhaps lie dormant. My favorite quote by James Allen is Man is buffeted by circumstances so long as he believes himself to be the creature of outside conditions. But when he realizes that he may command the hidden soil and seeds of his being out of which circumstances grow, he then becomes the rightful master of himself.

As a community, we have become captive to a master of self-destruction. Our young geniuses think they are in control; they are not. Though many are at liberty, they are destined to the literal incarceration of some state’s criminal correctional facility because their true self is captive even now. Ignorance is the oldest and largest jail known to mankind.

Now is the time to escape. Breakout! Run away. Go to the far country where freedom is. The land of freedom is still knowledge and education. And it’s even free. You live in a country that will pay you to get educated. But you have to prepare. You must be among the exceptional – and you are. You are in that class!

Dig deep into the soil of your being and tap the root of your potential. The seed was put there by your creator – it’s in you baby. Reach deep. Struggle long. Work hard. Sprout up and reach for the sky.

When you have emerged, the Sun will greet you. The rains will refresh you and the air will fill you as you burst forth. Then you will really reach as you have never reached before. Soon, fruit will naturally come and others will feed from your freedom.

Around you a new community emerges.


©2010 Benny R. Walls